4.4 billion AMD Involved Funds, 12000 Involved People, 31 Defendants; Preliminary Investigation of Criminal Proceeding on Financial Pyramid Known as «Vodanet» and «Onyxum» Completed

Records of crystals, kept here for reference:
1.
# TmMgFe2O4

A relaxed structure of TmMgFe2O4 (GGA+U, the Materials Project). Values from VASP.

Cell and atoms, written as Quantum ESPRESSO input:
```
&SYSTEM
  ibrav = 0, nat = 8, ntyp = 4
/
ATOMIC_SPECIES
O 16.00 O.upf
Mg 24.30 Mg.upf
Fe 55.84 Fe.upf
Tm 168.93 Tm.upf
CELL_PARAMETERS angstrom
-1.603 -3.032 0.136
1.603 -3.032 0.136
0.000 -2.529 10.940
ATOMIC_POSITIONS angstrom
O 0.000 -2.538 7.666
Mg 0.000 -4.375 8.578
O 0.000 -2.081 1.459
Fe 0.000 -2.073 3.601
O 0.000 -6.216 4.231
Tm 0.000 -0.160 0.370
Fe 0.000 -6.004 6.213
O 0.000 -6.813 10.223
```

Values from the calculation:
- mass density (Mg/m³) = 5.8
- formation energy (meV per atom) = -2265
- magnetization (μB per atom) = 0.93
- space-group type = Cm

2.
# Li8Mn5Fe3B8O24

A relaxed structure of Li8Mn5Fe3B8O24 (GGA+U, the Materials Project). Values from VASP.

Cell and atoms, written as Quantum ESPRESSO input:
```
&SYSTEM
  ibrav = 0, nat = 48, ntyp = 5
/
ATOMIC_SPECIES
B 10.81 B.upf
O 16.00 O.upf
Li 6.94 Li.upf
Mn 54.94 Mn.upf
Fe 55.84 Fe.upf
CELL_PARAMETERS angstrom
6.031 0.000 0.000
1.943 9.542 0.000
1.839 3.963 8.826
ATOMIC_POSITIONS angstrom
B 7.018 9.832 8.500
O 3.925 7.434 3.070
B 5.110 3.104 4.074
O 5.269 5.310 0.930
Li 5.038 7.808 6.053
Mn 7.608 10.058 5.535
O 8.527 12.938 7.867
O 1.650 7.356 0.539
Fe 4.087 10.221 7.695
O 8.171 6.152 8.291
O 3.721 2.624 0.579
Li 6.661 12.452 7.195
O 7.869 9.414 7.478
O 1.957 4.082 1.375
O 4.557 8.181 7.906
O 5.957 8.859 1.334
Li 7.077 3.032 6.035
O 5.907 6.067 5.755
O 3.866 10.831 5.805
O 1.292 0.572 0.952
Li 2.689 7.694 7.209
B 4.684 10.420 4.756
Mn 6.155 5.445 7.729
O 3.856 4.655 7.483
Fe 2.184 3.416 3.304
B 3.091 7.872 4.091
O 5.220 2.556 5.339
Mn 6.193 8.211 3.293
Mn 3.658 8.063 1.099
Li 7.116 5.805 1.612
Mn 3.616 5.278 5.517
O 5.582 9.376 4.970
O 4.575 11.008 3.504
Li 4.767 5.686 2.765
Li 2.729 10.475 2.777
Li 3.156 1.065 1.633
B 6.779 8.414 0.304
O 8.216 8.918 3.843
O 4.204 4.139 3.831
O 6.109 10.877 8.252
Fe 5.745 3.284 1.145
O 5.941 2.662 3.044
O 6.632 6.178 3.454
O 3.177 7.328 5.362
B 6.725 5.627 4.716
B 2.807 3.666 0.348
O 1.599 4.580 4.948
B 3.040 5.098 8.520
```

Values from the calculation:
- mass density (Mg/m³) = 3.2
- formation energy (meV per atom) = -2439
- magnetization (μB per atom) = 0.77
- space-group type = P1

3.
# Ca3V2Bi2O12

A relaxed structure of Ca3V2Bi2O12 (GGA+U, the Materials Project). Values from VASP.

Cell and atoms, written as Quantum ESPRESSO input:
```
&SYSTEM
  ibrav = 0, nat = 19, ntyp = 4
/
ATOMIC_SPECIES
V 50.94 V.upf
O 16.00 O.upf
Ca 40.08 Ca.upf
Bi 208.98 Bi.upf
CELL_PARAMETERS angstrom
5.499 0.000 0.000
-0.012 7.254 0.000
-0.362 -1.678 7.381
ATOMIC_POSITIONS angstrom
V 1.651 5.531 1.432
O -0.239 3.394 4.810
Ca 3.833 3.648 6.739
O 2.291 0.446 5.754
O 5.376 5.507 1.483
Bi 3.881 3.578 3.075
Ca 1.406 1.910 0.534
Ca 4.096 0.064 2.223
O 5.034 0.166 4.449
O 4.435 -1.176 6.948
O 4.772 1.459 6.823
O 2.390 4.116 0.722
O -0.055 2.007 2.418
O 2.295 6.893 0.567
V 4.061 0.182 5.953
O 2.574 3.276 4.865
Preliminary investigation on the part of 31 defendants within the criminal proceeding initiated on creating, organizing, managing a financial pyramid was completed.
In the result of large-scale and cooredinated investigative and procedural actions conducted in the Department of Investigation of Crimes against Property of General Department of Investigation of Particularly Important Cases of the RA Investigative Committee it was found out that in 2013 the citizen of the Republic of Lithuania registered the company called «Vodanet British LTD» in the United Kingdom and «Voda.net» site was launched on the internet with the use of which illegal activities were carried out in the Islamic Republic of Iran. Within the framework of the proceeding initiated on it criminal prosecutions were initiated by the competent bodies of the IRI against the persons coordinating the organization.
Avoiding criminal liability, three IRI citizens involved in the mentioned criminal group moved to Armenia, in 2016 founding a branch of the organization called «Vodanet British LTD» and reaching criminal agreement with a number of Armenian citizens, in a way prohibited by law and without the purpose of carrying out real business activity, started attracting and redestributing new property funds through already established financial schemes. For this purpose regional offices under «Voda» brand were established in Yerevan and numerous regions of the RA.
It was found out that since 2017 a number of RA citizens, learning about the activity of «Vodanet British LTD» company, had been involved in the system of the financial pyramid and some of them learning the content of the real activity of the financial pyramid operating under the name of «Vodanet British LTD» company, reached criminal agreement with the coordinators of the organization in acting in concerted efforts and bringing their benefit for profit to an organization operating in a publicly dangerous way.
The mentioned people, getting acquainted with the skills of fraudulent accumulation and redistribution of property funds in the financial pyramid system, with its use, under the pretext of phased courses, subjected many citizens to information processing, prompting them to make investments in hotel packages sold by the organization, to get a status of «independent business owner» and to get the right to profitably sell tourist packages in the system of a «reputable foreign company», making the purchase of a travel package a prerequisite for such apparent advantage, namely investing a certain amount of property. And the only possible way to earn money was due to the involvement of new investors and to receiving certain interest on account of the purchases made by them.
In order to achieve the status of coordinator - «leader» in «Voda» organization, the new participants took up involvement of their «wings» and «branches», i.e. followers in the financial pyramid with whom preparatory work was carried out. Then the potential investors were invited to the company's office where the nature of the activity was presented in a distorted way by the participants in the highest ranks of the criminal organization through phased presentations, new participants were inspired by the signals of irreversible success of their business activities and the inevitable possibility of making big money, using aggressive information and advertising campaigns of manipulative influence.
What comes next are crystal structures, not part of the article =
=====
A relaxed structure of LiLaNb4O12, computed with PBE.

The structure in POSCAR format:
```
LiLaNb4O12
1.0
8.9510 -3.9824 0.0000
8.9510 3.9824 0.0000
-3.6386 0.0000 10.7029
Li La Nb O
3 3 12 36
Cartesian
0.0000 0.0000 0.0000 Li
-0.0562 0.0000 8.9132 Li
7.1268 0.0000 5.3415 Li
5.3515 0.0000 1.7912 La
8.9100 0.0000 8.9178 La
16.0771 0.0000 5.3356 La
4.3982 2.0032 4.4640 Nb
2.6615 1.9919 9.7946 Nb
6.1741 1.9838 8.0332 Nb
8.0677 1.9931 2.6546 Nb
11.5971 1.9724 0.9307 Nb
9.8750 1.9923 6.2087 Nb
4.3982 -2.0032 4.4640 Nb
2.6615 -1.9919 9.7946 Nb
6.1741 -1.9838 8.0332 Nb
8.0677 -1.9931 2.6546 Nb
11.5971 -1.9724 0.9307 Nb
9.8750 -1.9923 6.2087 Nb
11.6076 -1.9913 5.3462 O
0.8239 1.9688 10.6791 O
-2.6037 0.0000 7.9351 O
3.7013 1.9057 2.6035 O
0.6700 0.0000 6.2835 O
4.4607 2.0817 8.9932 O
7.0372 1.9413 0.9462 O
5.4963 2.0340 6.1591 O
6.2567 1.9735 3.5752 O
2.8297 0.0000 0.8282 O
9.7978 2.0809 1.7027 O
8.7643 2.0349 4.5434 O
2.5024 0.0000 9.9202 O
8.0108 1.9962 7.1422 O
4.6041 0.0000 4.3325 O
7.2457 1.9788 9.7360 O
7.8723 0.0000 2.7033 O
3.7013 -1.9057 2.6035 O
0.8239 -1.9688 10.6791 O
10.5321 1.9435 8.0987 O
11.6076 1.9913 5.3462 O
6.3905 0.0000 7.9971 O
7.0372 -1.9413 0.9462 O
9.6536 0.0000 6.3701 O
6.2567 -1.9735 3.5752 O
11.7175 0.0000 0.7459 O
5.4963 -2.0340 6.1591 O
4.4607 -2.0817 8.9932 O
11.4339 0.0000 9.8162 O
8.7643 -2.0349 4.5434 O
8.0108 -1.9962 7.1422 O
7.2457 -1.9788 9.7360 O
9.7978 -2.0809 1.7027 O
13.5796 0.0000 4.4597 O
10.5321 -1.9435 8.0987 O
16.9029 0.0000 2.7812 O
```

Results
ΔE_f   -3.09 eV per atom
Total DFT energy (no corrections)   -8.560 eV per atom
ΔE to the lowest computed polymorph   0.011 eV/atom



A relaxed structure of Li5La3Nb2O12, computed with PBE.

The structure in POSCAR format:
```
Li5La3Nb2O12
1.0
-6.5631 6.5631 6.5631
6.5631 -6.5631 6.5631
6.5631 6.5631 -6.5631
Li La Nb O
20 12 8 48
Cartesian
4.9223 1.6408 -1.6408 Li
8.2038 -1.6408 1.6408 Li
9.8446 1.6408 0.0000 Li
6.5631 -3.2815 4.9223 Li
4.9223 6.5631 -3.2815 Li
1.6408 1.6408 1.6408 Li
1.6408 -1.6408 4.9223 Li
4.9223 0.0000 3.2815 Li
3.2815 4.9223 0.0000 Li
6.5631 3.2815 1.6408 Li
-1.6408 4.9223 1.6408 Li
1.6408 8.2038 -1.6408 Li
0.0000 3.2815 4.9223 Li
3.2815 1.6408 6.5631 Li
1.6408 6.5631 3.2815 Li
-1.6408 1.6408 8.2038 Li
4.9223 4.9223 4.9223 Li
1.6408 0.0000 9.8446 Li
0.0000 9.8446 1.6408 Li
-3.2815 4.9223 6.5631 Li
3.2815 1.6408 0.0000 La
6.5631 3.2815 -1.6408 La
1.6408 0.0000 3.2815 La
8.2038 0.0000 3.2815 La
0.0000 3.2815 1.6408 La
3.2815 -1.6408 6.5631 La
3.2815 8.2038 0.0000 La
6.5631 3.2815 4.9223 La
-1.6408 6.5631 3.2815 La
4.9223 6.5631 3.2815 La
0.0000 3.2815 8.2038 La
3.2815 4.9223 6.5631 La
0.0000 0.0000 0.0000 Nb
3.2815 3.2815 -3.2815 Nb
3.2815 -3.2815 3.2815 Nb
6.5631 0.0000 0.0000 Nb
-3.2815 3.2815 3.2815 Nb
0.0000 6.5631 0.0000 Nb
0.0000 0.0000 6.5631 Nb
3.2815 3.2815 3.2815 Nb
1.9022 -0.2752 0.7182 O
7.9424 3.9997 -3.5567 O
8.4652 0.2752 0.7182 O
7.9424 -2.5634 3.5567 O
6.2879 -0.7182 1.9022 O
10.1198 -1.3794 2.5634 O
0.7182 1.9022 -0.2752 O
=====
After passing the phased «courses», the person was offered to buy any of the hotel packages urging to give preference to the packages with higher value, worth 450-13,000 USD, with units providing the opportunity to start business activities with more favorable conditions. And in case the investor did not have the necessary money to buy packages, the coordinators of the organized group offered him/her to pledge gold, sell personal property, take loans reasoning that the offered business provided an opportunity to repay the loan amount in a short period of time and accumulate wealth.
The «leaders» coordinating the financial pyramid initially made the transfers under the pretext of booking hotel packages both through bank transfers and through crypto-currency and electronic wallets outside the control of the RA toolkit. In order to avoid possible control over the process later on and to hide the true amount of the stolen property, they demanded that the investments should be made exclusiveley in cash, cryptocurrency, and electronic units «e...» launched in the financial scheme․
Through investigation it was grounded that the process of booking and selling hotel packages was also distorted by the members of the organization, artificial barriers were made depriving the buyer of the right to fully manage his/her property, in this case the hotel package.
Particularly, money of alleged hotel package reservations was transferred to the accounts controlled by an organized criminal group, the real reservation in the hotels was made after the buyer had expressed a desire to go on a vacation and the person purchasing the package was obliged to inform about it at least one month before departure. After it a limited number of hotel accommodation offers was received from which a selection was made.
Besides, even though the person had paid the full amount of the hotel package in the form of investment, the latter was deprived of the opportunity to consume the full days of the purchased package in the same year, as it was divided into several years.
The information about the quality, location and services of the apparent goods subject to sale were also distorted, presenting the hotel accomodations as tourist, leisure high-class hotel packages, not telling in advance that the expenses for the departure and return tickets, entry visa, food and other additional ones were not included in them.
Creating such artificial barriers, the members of the criminal group pursued a goal to exclude as much as possible the possibility of the buyer to use the service encouraging them to attract new participants, to sell the latters hotel packages and to receive interests from the sold packages. As a result, at least 7.500 citizens were involved by the members of the criminal group in the financial pyramid operating under the name of «Vodanet British LTD».
As a result of criminal prosecutions conducted by the IRI law enforcement bodies since 2018, the activity of «Vodanet British LTD» company was suspended, and the activity of the site «voda.net» operating under its name was terminated, because of which the financial pyramid system was disintegrated and divided into two groups. A part of the IRI citizens left for Turkey taking up a similar activity in the territory of the mentioned country, the others stayed in the Republic of Armenia.
The citizens of Armenia, IRI and Canada, with prior agreement, registered the company named «Onyxum» in Canada instead of «Vodanet British LTD», launching the site with similar name «onyxum.com» on the internet and regrouping the main coordinators of the organized criminal group operating under the name of «Vodanet British LTD». Taking up the succession of an organization operating in a publicly dangerous manner with the intention of taking over the human resources already engaged, with the already developed and improved methodology, they continued the continuous replenishment of the financial pyramid aimed at obtaining property profit from the involvement of new investors in the territory of the RA. As of September, 2021 about 12.000 citizens and financial means in the amount of 4 484 031 920 AMD tantamount to 9.188.590 USD were involved in it.
On the base of the obtained sufficient facts charges were pressed against 34 citizens of the RA, IRI and Canada according to the Points 1 and 3 of the Part 3 of the Article 189.1 of RA former Criminal Code. Three of them were also charged with committing an act prohibited by the Points 1 and 2 of the Part 3 of the Article 190 of RA former Criminal Code.
# 1
Na2Ca5N4 (PBE-GGA, optimized geometry); calculated formation energy = -621 meV/atom; space-group type = No. 130; E = -4.673 eV per atom
1.0
7.9089 0.0000 0.0000
0.0000 7.9089 0.0000
0.0000 0.0000 14.9650
Na Ca N
8 20 16
Direct
0.0939 0.5939 0.2500
0.0939 0.9061 0.7500
0.4061 0.5939 0.7500
0.4061 0.9061 0.2500
0.5939 0.0939 0.7500
0.5939 0.4061 0.2500
0.9061 0.0939 0.2500
0.9061 0.4061 0.7500
0.0773 0.6338 0.5739
0.0773 0.8662 0.0739
0.1338 0.5773 0.9261
0.1338 0.9227 0.4261
0.2500 0.2500 0.1074
0.2500 0.2500 0.6074
0.3662 0.5773 0.4261
0.3662 0.9227 0.9261
0.4227 0.6338 0.0739
0.4227 0.8662 0.5739
0.5773 0.1338 0.4261
0.5773 0.3662 0.9261
0.6338 0.0773 0.0739
0.6338 0.4227 0.5739
0.7500 0.7500 0.3926
0.7500 0.7500 0.8926
0.8662 0.0773 0.5739
0.8662 0.4227 0.0739
0.9227 0.1338 0.9261
0.9227 0.3662 0.4261
0.0532 0.6348 0.4079
0.0532 0.8652 0.9079
0.1348 0.5532 0.0921
0.1348 0.9468 0.5921
0.3651 0.5532 0.5921
0.3651 0.9468 0.0921
0.4468 0.6348 0.9079
0.4468 0.8652 0.4079
0.5532 0.1348 0.5921
0.5532 0.3651 0.0921
0.6348 0.0532 0.9079
0.6348 0.4468 0.4079
0.8652 0.0532 0.4079
0.8652 0.4468 0.9079
0.9468 0.1348 0.0921
0.9468 0.3651 0.5921

=====

# 2
Gd2Si2O7 (PBE-GGA, optimized geometry); calculated formation energy = -3600 meV/atom; space-group type = No. 14; E = -9.857 eV per atom
1.0
6.6230 0.0000 0.0000
0.0000 6.7485 0.0000
-3.9664 0.0000 12.0949
Gd Si O
8 8 28
Direct
0.0279 0.1112 0.3629
0.0279 0.3888 0.8629
0.3424 0.1701 0.1513
0.3424 0.3299 0.6513
0.6576 0.6701 0.3487
0.6576 0.8299 0.8487
0.9721 0.6112 0.1371
0.9721 0.8888 0.6371
0.2115 0.5817 0.3886
0.2115 0.9183 0.8886
0.3965 0.6713 0.0855
0.3965 0.8287 0.5855
0.6035 0.1713 0.4145
0.6035 0.3287 0.9145
0.7885 0.0817 0.1114
0.7885 0.4183 0.6114
0.0021 0.7237 0.3318
0.0021 0.7763 0.8318
0.1636 0.1050 0.9574
0.1636 0.3950 0.4574
0.2248 0.0151 0.5497
0.2248 0.4849 0.0497
0.2834 0.6693 0.6460
0.2834 0.8307 0.1460
0.3014 0.5187 0.2876
0.3014 0.9813 0.7876
0.3718 0.0949 0.3387
0.3718 0.4051 0.8387
0.4076 0.7222 0.4685
0.4076 0.7778 0.9685
0.5924 0.2222 0.0315
0.5924 0.2778 0.5315
0.6282 0.5949 0.1613
0.6282 0.9051 0.6613
0.6986 0.0187 0.2124
0.6986 0.4813 0.7124
0.7166 0.1693 0.8540
0.7166 0.3307 0.3540
0.7752 0.5151 0.9503
0.7752 0.9849 0.4503
0.8364 0.6050 0.5426
0.8364 0.8950 0.0426
0.9979 0.2237 0.1682
0.9979 0.2763 0.6682

=====

# 3
ScRu (PBE-GGA, optimized geometry); calculated formation energy = -543 meV/atom; space-group type = No. 221; E = -8.347 eV per atom
1.0
3.2148 0.0000 0.0000
0.0000 3.2148 0.0000
0.0000 0.0000 3.2148
Sc Ru
1 1
Direct
0.0000 0.0000 0.0000
0.5000 0.5000 0.5000

=====

# 4
Ba3SrSn12 (PBE-GGA, optimized geometry); calculated formation energy = -413 meV/atom; space-group type = No. 25; E = -3.886 eV per atom
1.0
5.3410 0.0000 0.0000
0.0000 7.3541 0.0000
0.0000 0.0000 12.9805
Ba Sr Sn
3 1 12
Direct
0.0000 0.0000 0.0000
0.0000 0.5000 0.4991
0.5000 0.5000 0.8338
0.5000 0.0000 0.3331
0.0000 0.0000 0.5206
0.0000 0.2125 0.7365
0.0000 0.2820 0.2391
0.0000 0.5000 0.0253
Detention was selected as a pretrial measure against three persons and search was declared.
Within the framework of the criminal proceeding over 100 citizens were interrogated 30 of which have a procedural status of victim. The Republic of Armenia was also found as victim.
Preliminary investigation on 31 defendants was completed and the materials of the criminal proceeding with the bill of indictment were sent to court.
The RA Investigative Committee again urges the citizens to refrain from entering into relations with those acting on behalf of the organizations operating in the mentioned and similar schemes, making investments, showing them assistance in any way. And those who have already been affected by the activity of such organizations are asked to apply to the RA Investigative Committee and other law enforcement bodies.